Contents:
'''
This record from OMol25 describes a 2-piece molecular cluster, C9H15NOS4 overall in a non-equilibrium geometry. The level of theory is ωB97M-V/def2-TZVPD.

Each atom is followed by the atoms it is bonded to, with distances in Å.
Atoms and positions in Å:
1 C -2.998 -1.946 -2.247  C2 1.515, O9 1.429, H10 1.107, H11 1.097
2 C -1.549 -1.830 -1.822  C1 1.515, N3 1.467, H12 1.109, H13 1.093
3 N -0.940 -0.719 -2.562  C2 1.467, C4 1.397, C7 1.468
4 C 0.455 -0.658 -2.586  N3 1.397, S5 1.674, S6 1.671
5 S 1.327 -2.005 -2.108  C4 1.674
6 S 1.199 0.788 -2.969  C4 1.671
7 C -1.652 0.563 -2.488  N3 1.468, C8 1.514, H14 1.109, H15 1.093
8 C -3.085 0.320 -2.911  C7 1.514, O9 1.429, H16 1.097, H17 1.107
9 O -3.683 -0.700 -2.109  C1 1.429, C8 1.429
10 H -2.979 -2.301 -3.295  C1 1.107
11 H -3.549 -2.626 -1.585  C1 1.097
12 H -1.536 -1.681 -0.723  C2 1.109
13 H -1.022 -2.754 -2.074  C2 1.093
14 H -1.669 0.993 -1.465  C7 1.109
15 H -1.180 1.265 -3.180  C7 1.093
16 H -3.708 1.204 -2.730  C8 1.097
17 H -3.040 0.046 -3.983  C8 1.107
18 C 2.186 1.153 4.267  C19 1.518, C23 1.518, H24 1.088, H25 1.084
19 C 1.513 1.989 3.194  C18 1.518, S20 1.824, H26 1.090, H27 1.093
20 S 0.699 0.987 1.905  C19 1.824, C21 1.675
21 C 1.924 -0.047 1.417  S20 1.675, S22 1.677, H28 1.089
22 S 2.989 -0.814 2.460  C21 1.677, C23 1.824
23 C 3.411 0.500 3.653  C18 1.518, S22 1.824, H29 1.094, H30 1.090
24 H 2.489 1.794 5.093  C18 1.088
25 H 1.506 0.404 4.657  C18 1.084
26 H 0.715 2.606 3.606  C19 1.090
27 H 2.244 2.620 2.681  C19 1.093
28 H 1.896 -0.391 0.384  C21 1.089
29 H 4.015 1.237 3.116  C23 1.094
30 H 4.021 0.002 4.406  C23 1.090

As for the spin multiplicity: 1. Its LUMO energy is -3.28 eV. The largest force on an atom comes out at 1.46 eV Å⁻¹. As for the orbital gap: 2.78 eV.

----------

# 1
ORCA calculation (the ωB97M-V functional and the def2-TZVPD basis) on a structure of composition C16H12Cl2FeO5S.

The calculation puts the strongest force on any atom at 5.634 eV Å⁻¹. For the molar mass, the calculation gives 443.1 g mol⁻¹. Its spin multiplicity is 5. The calculation puts the relative energy (zero: lowest compared OMol25 entry of this formula, charge and spin) at 82.5 kJ/mol. The total energy is -3575.1194 Eh. The lowest unoccupied orbital energy (alpha / beta) comes out at 0.0041 / -0.0733 Ha.

Positions of all 37 atoms, in Å:
O 4.65173 -3.97605 -1.41623
C 4.34208 -2.88742 -1.67772
Fe 4.15118 -1.21051 -2.10772
C 5.25924 -0.59481 -0.89115
O 6.14102 -0.49503 -0.14366
C 5.35663 -1.38947 -3.38413
O 6.38628 -1.58000 -3.89780
C 1.57762 -0.85851 -0.70367
C 1.28179 -1.92039 -1.67939
C 2.31610 -1.85011 -2.81134
C 2.61092 -0.55756 -3.33823
C 2.89283 0.41752 -2.36210
C 2.59354 0.04432 -1.00736
H 1.07670 -0.87469 0.26096
H 1.25728 -2.91765 -1.19653
H 0.26133 -1.81229 -2.10893
H 2.30616 -2.74316 -3.45732
H 2.76889 -0.40646 -4.40607
H 3.35243 1.38576 -2.58819
H 2.98670 0.69445 -0.21526
Cl -6.03588 2.43825 5.74649
C -5.13708 1.98538 4.35989
C -4.52269 0.72691 4.29457
C -3.83333 0.34638 3.13234
C -3.77572 1.21791 2.04783
S -3.08239 0.69425 0.46016
C -1.36762 0.88915 0.55752
Cl -0.62146 0.99369 -0.93279
O -3.39727 -0.70624 0.29724
O -3.65546 1.66957 -0.44704
C -4.34581 2.48643 2.12757
C -5.04129 2.87201 3.27873
H -4.60633 0.04601 5.13885
H -3.36339 -0.63201 3.07020
H -0.97782 1.47920 1.38699
H -4.28494 3.17714 1.29065
H -5.52199 3.84801 3.32266

***

# 2
ORCA calculation (the ωB97M-V functional and the def2-TZVPD basis) on a structure of composition C16H12Cl2IrN2O2S3.

The total charge is +1. The calculation puts the strongest force on any atom at 0.187 eV Å⁻¹. For the molar mass, the calculation gives 623.6 g mol⁻¹. The total energy is -3095.9406 Eh. The lowest unoccupied orbital energy (alpha / beta) comes out at -0.2164 / -0.2179 Ha.

Positions of all 38 atoms, in Å:
Ir 0.55331 0.74718 -0.38873
Cl 2.84150 1.01540 -0.77971
C 3.18328 2.68041 -0.32719
C 4.48578 3.11855 -0.39657
C 4.73518 4.43447 -0.02996
C 3.70763 5.26380 0.39259
C 2.40836 4.78745 0.45350
'''
Activity:
What is needed: print the lines above from the first line to the one with "-1.536 -1.681" verbatim.
Completed:
This record from OMol25 describes a 2-piece molecular cluster, C9H15NOS4 overall in a non-equilibrium geometry. The level of theory is ωB97M-V/def2-TZVPD.

Each atom is followed by the atoms it is bonded to, with distances in Å.
Atoms and positions in Å:
1 C -2.998 -1.946 -2.247  C2 1.515, O9 1.429, H10 1.107, H11 1.097
2 C -1.549 -1.830 -1.822  C1 1.515, N3 1.467, H12 1.109, H13 1.093
3 N -0.940 -0.719 -2.562  C2 1.467, C4 1.397, C7 1.468
4 C 0.455 -0.658 -2.586  N3 1.397, S5 1.674, S6 1.671
5 S 1.327 -2.005 -2.108  C4 1.674
6 S 1.199 0.788 -2.969  C4 1.671
7 C -1.652 0.563 -2.488  N3 1.468, C8 1.514, H14 1.109, H15 1.093
8 C -3.085 0.320 -2.911  C7 1.514, O9 1.429, H16 1.097, H17 1.107
9 O -3.683 -0.700 -2.109  C1 1.429, C8 1.429
10 H -2.979 -2.301 -3.295  C1 1.107
11 H -3.549 -2.626 -1.585  C1 1.097
12 H -1.536 -1.681 -0.723  C2 1.109